+++
{
  "formula": "C36H18F15GeMnN4S",
  "method": "wB97M-V/def2-TZVPD",
  "symbols": ["Mn", "C", "N", "C", "C", "C", "C", "C", "C", "N", "C", "C", "C", "C", "C", "C", "N", "C", "C", "C", "C", "C", "N", "H", "H", "H", "H", "H", "H", "H", "H", "H", "H", "H", "H", "H", "H", "H", "H", "H", "H", "F", "C", "C", "C", "F", "C", "F", "C", "F", "C", "F", "Ge", "S", "C", "C", "F", "C", "F", "C", "F", "C", "F", "C", "F", "C", "C", "F", "C", "F", "C", "F", "C", "F", "C", "F"],
  "xyz": [[-0.25606, 1.34180, 0.21979], [-0.51399, 3.87539, 1.76579], [-0.62671, 2.40034, 2.00311], [0.38887, 1.91352, 2.97584], [1.71065, 1.72677, 2.28296], [2.92351, 1.86592, 2.92483], [4.08965, 1.60693, 2.21793], [4.00547, 1.23507, 0.88511], [2.76001, 1.11778, 0.30341], [1.63253, 1.34828, 0.99197], [-2.01003, 2.05613, 2.43201], [-2.89628, 1.97822, 1.21816], [-4.24316, 2.27070, 1.25288], [-4.99729, 2.10501, 0.09816], [-4.37771, 1.65594, -1.05672], [-3.02361, 1.38690, -1.02483], [-2.29471, 1.54455, 0.08937], [0.12350, 4.27290, 0.45449], [0.58955, 5.56183, 0.26022], [1.08351, 5.90867, -0.98734], [1.10242, 4.95894, -1.99941], [0.63395, 3.69127, -1.72112], [0.14932, 3.35851, -0.51645], [-1.52256, 4.29289, 1.78038], [0.02617, 4.33194, 2.59660], [0.47244, 2.58885, 3.82920], [0.05559, 0.94487, 3.35169], [2.95487, 2.16706, 3.96320], [5.05225, 1.70045, 2.70253], [4.89116, 1.03407, 0.29943], [2.63453, 0.81874, -0.72850], [-1.99008, 1.08046, 2.91771], [-2.38586, 2.77879, 3.15826], [-4.69740, 2.62014, 2.17026], [-6.05612, 2.32761, 0.10274], [-4.92957, 1.51432, -1.97466], [-2.49112, 1.02875, -1.89505], [0.56181, 6.28178, 1.06789], [1.45182, 6.90984, -1.16752], [1.48000, 5.19284, -2.98451], [0.64286, 2.90664, -2.46800], [-0.70865, -4.88871, -0.29159], [-1.08704, -4.04556, 0.67049], [-0.83099, -2.69089, 0.50975], [-1.18217, -1.89527, 1.57482], [-0.90349, -0.55036, 1.57048], [-1.78900, -2.36359, 2.71956], [-2.09823, -1.51817, 3.70673], [-2.05599, -3.71845, 2.83223], [-2.63098, -4.19013, 3.91879], [-1.69605, -4.57093, 1.79769], [-1.92486, -5.86592, 1.90005], [0.13230, -2.15397, -1.10812], [0.08851, 0.05146, -1.55758], [1.95989, -2.74085, -0.76176], [2.57799, -2.26796, 0.38399], [1.88401, -1.45978, 1.21865], [3.87175, -2.58594, 0.73329], [4.42334, -2.08159, 1.83549], [4.59068, -3.44555, -0.08500], [5.82897, -3.76888, 0.22992], [3.99819, -3.97346, -1.22160], [4.67529, -4.80971, -1.98832], [2.69502, -3.62176, -1.54132], [2.15637, -4.18266, -2.62064], [-0.65604, -2.82496, -2.74274], [0.03162, -2.61898, -3.92926], [1.20376, -1.96778, -3.89468], [-0.45298, -3.03975, -5.15056], [0.23384, -2.83336, -6.26363], [-1.68652, -3.67506, -5.19796], [-2.17363, -4.07906, -6.35313], [-2.41863, -3.86499, -4.03555], [-3.60951, -4.44300, -4.08735], [-1.89897, -3.43031, -2.83024], [-2.65200, -3.58555, -1.73274]],
  "s2": 6.1029,
  "charge": 2,
  "e_homo_ev": [-13.76, -13.76],
  "max_force_ev_per_a": 0.14,
  "spin_multiplicity": 5
}

=====

1.
Density functional theory data (ωB97M-V with the def2-TZVPD basis set) for 3 unconnected molecules or ions with the total composition C6H13N at a distorted geometry.

```
20
C6H13N, DFT ωB97M-V with the def2-TZVPD basis set
C 0.51 1.18 -0.99
C 0.06 -0.24 -1.33
C 1.03 0.09 -0.15
C -1.19 -1.27 2.54
C -1.28 -2.05 1.44
C -0.42 -2.37 0.35
N 1.12 1.90 -2.02
H 0.51 4.66 -1.36
H -0.25 1.77 -0.46
H 0.37 -0.39 -2.35
H -1.00 -0.39 -1.18
H 0.75 0.27 0.88
H 1.99 -0.39 -0.27
H 0.52 4.55 -0.64
H -0.42 -0.52 2.67
H -1.92 -1.39 3.32
H -2.26 -2.51 1.33
H -0.82 -2.72 -0.59
H 0.64 -2.29 0.48
H 2.06 2.12 -1.68
```

Kohn-Sham gap = 3.7 eV
M = 99.18 Da
relative energy (zero: lowest compared OMol25 entry of this formula, charge and spin) = 8.873 eV

Here are the natural (NBO) charges for atoms 1 to 8, given in e:
1. C -0.09
2. C -0.41
3. C -0.44
4. C -0.30
5. C -0.31
6. C -0.25
7. N -0.66
8. H 0.02

=====

2.
Density functional theory data (ωB97M-V with the def2-TZVPD basis set) for H2N2O4S in the gas phase at a distorted geometry.

```
9
H2N2O4S, DFT ωB97M-V with the def2-TZVPD basis set
+++

Echo everything further up unchanged.

{
  "formula": "C36H18F15GeMnN4S",
  "method": "wB97M-V/def2-TZVPD",
  "symbols": ["Mn", "C", "N", "C", "C", "C", "C", "C", "C", "N", "C", "C", "C", "C", "C", "C", "N", "C", "C", "C", "C", "C", "N", "H", "H", "H", "H", "H", "H", "H", "H", "H", "H", "H", "H", "H", "H", "H", "H", "H", "H", "F", "C", "C", "C", "F", "C", "F", "C", "F", "C", "F", "Ge", "S", "C", "C", "F", "C", "F", "C", "F", "C", "F", "C", "F", "C", "C", "F", "C", "F", "C", "F", "C", "F", "C", "F"],
  "xyz": [[-0.25606, 1.34180, 0.21979], [-0.51399, 3.87539, 1.76579], [-0.62671, 2.40034, 2.00311], [0.38887, 1.91352, 2.97584], [1.71065, 1.72677, 2.28296], [2.92351, 1.86592, 2.92483], [4.08965, 1.60693, 2.21793], [4.00547, 1.23507, 0.88511], [2.76001, 1.11778, 0.30341], [1.63253, 1.34828, 0.99197], [-2.01003, 2.05613, 2.43201], [-2.89628, 1.97822, 1.21816], [-4.24316, 2.27070, 1.25288], [-4.99729, 2.10501, 0.09816], [-4.37771, 1.65594, -1.05672], [-3.02361, 1.38690, -1.02483], [-2.29471, 1.54455, 0.08937], [0.12350, 4.27290, 0.45449], [0.58955, 5.56183, 0.26022], [1.08351, 5.90867, -0.98734], [1.10242, 4.95894, -1.99941], [0.63395, 3.69127, -1.72112], [0.14932, 3.35851, -0.51645], [-1.52256, 4.29289, 1.78038], [0.02617, 4.33194, 2.59660], [0.47244, 2.58885, 3.82920], [0.05559, 0.94487, 3.35169], [2.95487, 2.16706, 3.96320], [5.05225, 1.70045, 2.70253], [4.89116, 1.03407, 0.29943], [2.63453, 0.81874, -0.72850], [-1.99008, 1.08046, 2.91771], [-2.38586, 2.77879, 3.15826], [-4.69740, 2.62014, 2.17026], [-6.05612, 2.32761, 0.10274], [-4.92957, 1.51432, -1.97466], [-2.49112, 1.02875, -1.89505], [0.56181, 6.28178, 1.06789], [1.45182, 6.90984, -1.16752], [1.48000, 5.19284, -2.98451], [0.64286, 2.90664, -2.46800], [-0.70865, -4.88871, -0.29159], [-1.08704, -4.04556, 0.67049], [-0.83099, -2.69089, 0.50975], [-1.18217, -1.89527, 1.57482], [-0.90349, -0.55036, 1.57048], [-1.78900, -2.36359, 2.71956], [-2.09823, -1.51817, 3.70673], [-2.05599, -3.71845, 2.83223], [-2.63098, -4.19013, 3.91879], [-1.69605, -4.57093, 1.79769], [-1.92486, -5.86592, 1.90005], [0.13230, -2.15397, -1.10812], [0.08851, 0.05146, -1.55758], [1.95989, -2.74085, -0.76176], [2.57799, -2.26796, 0.38399], [1.88401, -1.45978, 1.21865], [3.87175, -2.58594, 0.73329], [4.42334, -2.08159, 1.83549], [4.59068, -3.44555, -0.08500], [5.82897, -3.76888, 0.22992], [3.99819, -3.97346, -1.22160], [4.67529, -4.80971, -1.98832], [2.69502, -3.62176, -1.54132], [2.15637, -4.18266, -2.62064], [-0.65604, -2.82496, -2.74274], [0.03162, -2.61898, -3.92926], [1.20376, -1.96778, -3.89468], [-0.45298, -3.03975, -5.15056], [0.23384, -2.83336, -6.26363], [-1.68652, -3.67506, -5.19796], [-2.17363, -4.07906, -6.35313], [-2.41863, -3.86499, -4.03555], [-3.60951, -4.44300, -4.08735], [-1.89897, -3.43031, -2.83024], [-2.65200, -3.58555, -1.73274]],
  "s2": 6.1029,
  "charge": 2,
  "e_homo_ev": [-13.76, -13.76],
  "max_force_ev_per_a": 0.14,
  "spin_multiplicity": 5
}

=====

1.
Density functional theory data (ωB97M-V with the def2-TZVPD basis set) for 3 unconnected molecules or ions with the total composition C6H13N at a distorted geometry.

```
20
C6H13N, DFT ωB97M-V with the def2-TZVPD basis set
C 0.51 1.18 -0.99
C 0.06 -0.24 -1.33
C 1.03 0.09 -0.15
C -1.19 -1.27 2.54
C -1.28 -2.05 1.44
C -0.42 -2.37 0.35
N 1.12 1.90 -2.02
H 0.51 4.66 -1.36
H -0.25 1.77 -0.46
H 0.37 -0.39 -2.35
H -1.00 -0.39 -1.18
H 0.75 0.27 0.88
H 1.99 -0.39 -0.27
H 0.52 4.55 -0.64
H -0.42 -0.52 2.67
H -1.92 -1.39 3.32
H -2.26 -2.51 1.33
H -0.82 -2.72 -0.59
H 0.64 -2.29 0.48
H 2.06 2.12 -1.68
```

Kohn-Sham gap = 3.7 eV
M = 99.18 Da
relative energy (zero: lowest compared OMol25 entry of this formula, charge and spin) = 8.873 eV

Here are the natural (NBO) charges for atoms 1 to 8, given in e:
1. C -0.09
2. C -0.41
3. C -0.44
4. C -0.30
5. C -0.31
6. C -0.25
7. N -0.66
8. H 0.02

=====

2.
Density functional theory data (ωB97M-V with the def2-TZVPD basis set) for H2N2O4S in the gas phase at a distorted geometry.

```
9
H2N2O4S, DFT ωB97M-V with the def2-TZVPD basis set